Activity
What is needed: give back everything below exactly.

Input
-- begin --
No. 1
Density functional theory data (PBE-GGA) for a relaxed LiRu2N3 crystal.

## Properties
The value obtained for the electronic total energy is -44.5 eV/f.u. The formation energy is -0.01 eV/atom. Its magnetic moment is 0.00 μB per formula unit. The calculated volume comes out at 146.5 Å³/cell.

abc: 5.6595 5.6993 5.2581
angles: 90.00 90.00 120.23
Last column: nearest neighbours and their distance in Å.
Element x y z (fractional)
Li 0.0000 0.6658 0.4893  4 N 2.09-2.16
Ru 0.6669 0.6666 0.9886  4 N 1.88-1.96
N 0.0000 0.3089 0.3993  2 Ru 1.88, 1 Li 2.09
Li 0.0000 0.3342 0.9893  4 N 2.09-2.16
Ru 0.3331 0.9997 0.9886  4 N 1.88-1.96
N 0.6407 0.6664 0.3611  3 Ru 1.94-1.96, 1 Li 2.14
Ru 0.3331 0.3334 0.4886  4 N 1.88-1.96
Ru 0.6669 0.0003 0.4886  4 N 1.88-1.96
N 0.3593 0.0258 0.3611  3 Ru 1.94-1.96, 1 Li 2.14
N 0.3593 0.3336 0.8611  3 Ru 1.94-1.96, 1 Li 2.14
N 0.0000 0.6911 0.8993  2 Ru 1.88, 1 Li 2.09
N 0.6407 0.9742 0.8611  3 Ru 1.94-1.96, 1 Li 2.14

***

No. 2
Density functional theory data (PBE-GGA) for a relaxed LiCuPO4 crystal.

## Properties
Its energy above the lowest structure with this stoichiometry is 46 meV/atom. The value obtained for the electronic total energy is -43.5 eV/f.u. The formation energy is -2.15 eV/atom. Its magnetic moment is 1.00 μB per formula unit. The calculated volume comes out at 461.8 Å³/cell.

abc: 7.4357 7.4357 9.4730
angles: 88.47 88.47 118.00
Last column: nearest neighbours and their distance in Å.
Element x y z (fractional)
O 0.1662 0.7124 0.6281  1 P 1.54
O 0.2218 0.1237 0.4411  1 P 1.55
O 0.5475 0.8275 0.6229  1 P 1.55
Cu 0.0206 0.5920 0.9582  3 O 1.92-2.00
O 0.9957 0.9975 0.1656  1 P 1.53
O 0.1237 0.2218 0.9411  1 P 1.55
Cu 0.5920 0.0206 0.4582  3 O 1.92-2.00
O 0.8868 0.3734 0.8277  1 P 1.55
P 0.0002 0.9986 0.5035  4 O 1.53-1.57
P 0.3373 0.6782 0.2730  4 O 1.55-1.57
O 0.8806 0.1116 0.4479  1 P 1.57
P 0.6581 0.3327 0.1728  4 O 1.54-1.60
O 0.6943 0.3546 0.6075  1 P 1.57
Li 0.7421 0.7942 0.7583  4 O 1.94-2.05
Li 0.7942 0.7421 0.2583  4 O 1.94-2.05
O 0.9052 0.7821 0.4451  1 P 1.55
O 0.9975 0.9957 0.6656  1 P 1.53
Li 0.0488 0.2507 0.7508  4 O 1.94-2.05
Li 0.9586 0.2183 0.2492  4 O 1.97-2.08
Li 0.2507 0.0488 0.2508  4 O 1.94-2.05
O 0.5108 0.1200 0.8213  1 P 1.55
P 0.6782 0.3373 0.7730  4 O 1.55-1.57
Cu 0.5248 0.9439 0.9809  4 O 2.01-2.16
P 0.3327 0.6581 0.6728  4 O 1.54-1.60
Li 0.2183 0.9586 0.7492  4 O 1.97-2.08
O 0.3734 0.8868 0.3277  1 P 1.55
P 0.9986 0.0002 0.0035  4 O 1.53-1.57
O 0.7821 0.9052 0.9451  1 P 1.55
Cu 0.9439 0.5248 0.4809  4 O 2.01-2.16
Cu 0.3991 0.4495 0.9659  4 O 1.98-2.11
O 0.7124 0.1662 0.1281  1 P 1.54
O 0.1116 0.8806 0.9479  1 P 1.57
O 0.5048 0.6286 0.3274  1 P 1.55
O 0.6286 0.5048 0.8274  1 P 1.55
O 0.3546 0.6943 0.1075  1 P 1.57
Cu 0.4495 0.3991 0.4659  4 O 1.98-2.11
O 0.3249 0.6438 0.8418  1 P 1.60
O 0.1200 0.5108 0.3213  1 P 1.55
O 0.6438 0.3249 0.3418  1 P 1.60
O 0.2921 0.4465 0.6208  1 P 1.55
O 0.4465 0.2921 0.1208  1 P 1.55
O 0.8275 0.5475 0.1229  1 P 1.55

***

No. 3
Density functional theory data (PBE-GGA) for a relaxed K3Zr6BeCl15 crystal.

## Properties
The value obtained for the electronic total energy is -128.8 eV/f.u. The formation energy is -2.08 eV/atom. Its magnetic moment is 0.00 μB per formula unit. The calculated volume comes out at 1379.3 Å³/cell.

abc: 10.1400 10.1400 14.3332
angles: 87.74 87.74 69.55
Last column: nearest neighbours and their distance in Å.
Element x y z (fractional)
Cl 0.0000 0.0000 0.0000  2 Zr 2.74
Be 0.0000 0.5000 0.5000  6 Zr 2.33-2.37
Cl 0.1936 0.1583 0.8543  2 Zr 2.58-2.62
K 0.3589 0.8679 0.4320  5 Cl 3.16-3.52
Zr 0.4250 0.1977 0.0972  1 Be 2.37, 4 Cl 2.59-2.63
Cl 0.2203 0.6752 0.6020  2 Zr 2.60-2.63
Zr 0.5471 0.8482 0.1341  1 Be 2.37, 4 Cl 2.58-2.62
K 0.6411 0.1321 0.5680  5 Cl 3.16-3.52
Zr 0.8023 0.5750 0.4028  1 Be 2.37, 4 Cl 2.59-2.63
Zr 0.0012 0.7299 0.4987  1 Be 2.33, 4 Cl 2.58-2.60
Cl 0.7093 0.1572 0.8495  2 Zr 2.58-2.62
Zr 0.8482 0.5471 0.6341  1 Be 2.37, 4 Cl 2.58-2.62
Cl 0.1602 0.2192 0.1008  2 Zr 2.58-2.62
-- stop --

Outcome
No. 1
Density functional theory data (PBE-GGA) for a relaxed LiRu2N3 crystal.

## Properties
The value obtained for the electronic total energy is -44.5 eV/f.u. The formation energy is -0.01 eV/atom. Its magnetic moment is 0.00 μB per formula unit. The calculated volume comes out at 146.5 Å³/cell.

abc: 5.6595 5.6993 5.2581
angles: 90.00 90.00 120.23
Last column: nearest neighbours and their distance in Å.
Element x y z (fractional)
Li 0.0000 0.6658 0.4893  4 N 2.09-2.16
Ru 0.6669 0.6666 0.9886  4 N 1.88-1.96
N 0.0000 0.3089 0.3993  2 Ru 1.88, 1 Li 2.09
Li 0.0000 0.3342 0.9893  4 N 2.09-2.16
Ru 0.3331 0.9997 0.9886  4 N 1.88-1.96
N 0.6407 0.6664 0.3611  3 Ru 1.94-1.96, 1 Li 2.14
Ru 0.3331 0.3334 0.4886  4 N 1.88-1.96
Ru 0.6669 0.0003 0.4886  4 N 1.88-1.96
N 0.3593 0.0258 0.3611  3 Ru 1.94-1.96, 1 Li 2.14
N 0.3593 0.3336 0.8611  3 Ru 1.94-1.96, 1 Li 2.14
N 0.0000 0.6911 0.8993  2 Ru 1.88, 1 Li 2.09
N 0.6407 0.9742 0.8611  3 Ru 1.94-1.96, 1 Li 2.14

***

No. 2
Density functional theory data (PBE-GGA) for a relaxed LiCuPO4 crystal.

## Properties
Its energy above the lowest structure with this stoichiometry is 46 meV/atom. The value obtained for the electronic total energy is -43.5 eV/f.u. The formation energy is -2.15 eV/atom. Its magnetic moment is 1.00 μB per formula unit. The calculated volume comes out at 461.8 Å³/cell.

abc: 7.4357 7.4357 9.4730
angles: 88.47 88.47 118.00
Last column: nearest neighbours and their distance in Å.
Element x y z (fractional)
O 0.1662 0.7124 0.6281  1 P 1.54
O 0.2218 0.1237 0.4411  1 P 1.55
O 0.5475 0.8275 0.6229  1 P 1.55
Cu 0.0206 0.5920 0.9582  3 O 1.92-2.00
O 0.9957 0.9975 0.1656  1 P 1.53
O 0.1237 0.2218 0.9411  1 P 1.55
Cu 0.5920 0.0206 0.4582  3 O 1.92-2.00
O 0.8868 0.3734 0.8277  1 P 1.55
P 0.0002 0.9986 0.5035  4 O 1.53-1.57
P 0.3373 0.6782 0.2730  4 O 1.55-1.57
O 0.8806 0.1116 0.4479  1 P 1.57
P 0.6581 0.3327 0.1728  4 O 1.54-1.60
O 0.6943 0.3546 0.6075  1 P 1.57
Li 0.7421 0.7942 0.7583  4 O 1.94-2.05
Li 0.7942 0.7421 0.2583  4 O 1.94-2.05
O 0.9052 0.7821 0.4451  1 P 1.55
O 0.9975 0.9957 0.6656  1 P 1.53
Li 0.0488 0.2507 0.7508  4 O 1.94-2.05
Li 0.9586 0.2183 0.2492  4 O 1.97-2.08
Li 0.2507 0.0488 0.2508  4 O 1.94-2.05
O 0.5108 0.1200 0.8213  1 P 1.55
P 0.6782 0.3373 0.7730  4 O 1.55-1.57
Cu 0.5248 0.9439 0.9809  4 O 2.01-2.16
P 0.3327 0.6581 0.6728  4 O 1.54-1.60
Li 0.2183 0.9586 0.7492  4 O 1.97-2.08
O 0.3734 0.8868 0.3277  1 P 1.55
P 0.9986 0.0002 0.0035  4 O 1.53-1.57
O 0.7821 0.9052 0.9451  1 P 1.55
Cu 0.9439 0.5248 0.4809  4 O 2.01-2.16
Cu 0.3991 0.4495 0.9659  4 O 1.98-2.11
O 0.7124 0.1662 0.1281  1 P 1.54
O 0.1116 0.8806 0.9479  1 P 1.57
O 0.5048 0.6286 0.3274  1 P 1.55
O 0.6286 0.5048 0.8274  1 P 1.55
O 0.3546 0.6943 0.1075  1 P 1.57
Cu 0.4495 0.3991 0.4659  4 O 1.98-2.11
O 0.3249 0.6438 0.8418  1 P 1.60
O 0.1200 0.5108 0.3213  1 P 1.55
O 0.6438 0.3249 0.3418  1 P 1.60
O 0.2921 0.4465 0.6208  1 P 1.55
O 0.4465 0.2921 0.1208  1 P 1.55
O 0.8275 0.5475 0.1229  1 P 1.55

***

No. 3
Density functional theory data (PBE-GGA) for a relaxed K3Zr6BeCl15 crystal.

## Properties
The value obtained for the electronic total energy is -128.8 eV/f.u. The formation energy is -2.08 eV/atom. Its magnetic moment is 0.00 μB per formula unit. The calculated volume comes out at 1379.3 Å³/cell.

abc: 10.1400 10.1400 14.3332
angles: 87.74 87.74 69.55
Last column: nearest neighbours and their distance in Å.
Element x y z (fractional)
Cl 0.0000 0.0000 0.0000  2 Zr 2.74
Be 0.0000 0.5000 0.5000  6 Zr 2.33-2.37
Cl 0.1936 0.1583 0.8543  2 Zr 2.58-2.62
K 0.3589 0.8679 0.4320  5 Cl 3.16-3.52
Zr 0.4250 0.1977 0.0972  1 Be 2.37, 4 Cl 2.59-2.63
Cl 0.2203 0.6752 0.6020  2 Zr 2.60-2.63
Zr 0.5471 0.8482 0.1341  1 Be 2.37, 4 Cl 2.58-2.62
K 0.6411 0.1321 0.5680  5 Cl 3.16-3.52
Zr 0.8023 0.5750 0.4028  1 Be 2.37, 4 Cl 2.59-2.63
Zr 0.0012 0.7299 0.4987  1 Be 2.33, 4 Cl 2.58-2.60
Cl 0.7093 0.1572 0.8495  2 Zr 2.58-2.62
Zr 0.8482 0.5471 0.6341  1 Be 2.37, 4 Cl 2.58-2.62
Cl 0.1602 0.2192 0.1008  2 Zr 2.58-2.62